File:
+++
Record 1
LaAsPtBr2 | GGA-PBEsol | optimized geometry

Cell and atoms, written as POSCAR:
```
LaAsPtBr2
1.0
-3.992 -1.033 2.726
-0.918 -3.941 -2.838
2.855 -2.888 3.087
As Br La Pt
1 2 1 1
Direct
0.000 0.000 0.500 As
0.000 0.500 0.000 Br
0.500 0.000 0.000 Br
0.500 0.500 0.500 La
0.000 0.000 0.000 Pt
```

V ... 124.7 Å³/f.u.
E_tot ... -4.75 eV per atom
Symmetry ... P4/mmm (123)

=====

Record 2
LaAsRuBr2 | GGA-PBEsol | optimized geometry

Cell and atoms, written as POSCAR:
```
LaAsRuBr2
1.0
-3.374 2.127 -2.746
-3.433 -1.464 3.085
0.581 4.531 2.796
Br Ru As La
2 1 1 1
Direct
0.500 0.000 0.000 Br
0.000 0.500 0.000 Br
0.000 0.000 0.000 Ru
0.500 0.500 0.500 As
0.000 0.000 0.500 La
```

V ... 125.6 Å³/f.u.
E_tot ... -4.96 eV per atom
Symmetry ... P4/mmm (123)
+++

Brief:
Give back the entries above word for word, please.

Response:
Record 1
LaAsPtBr2 | GGA-PBEsol | optimized geometry

Cell and atoms, written as POSCAR:
```
LaAsPtBr2
1.0
-3.992 -1.033 2.726
-0.918 -3.941 -2.838
2.855 -2.888 3.087
As Br La Pt
1 2 1 1
Direct
0.000 0.000 0.500 As
0.000 0.500 0.000 Br
0.500 0.000 0.000 Br
0.500 0.500 0.500 La
0.000 0.000 0.000 Pt
```

V ... 124.7 Å³/f.u.
E_tot ... -4.75 eV per atom
Symmetry ... P4/mmm (123)

=====

Record 2
LaAsRuBr2 | GGA-PBEsol | optimized geometry

Cell and atoms, written as POSCAR:
```
LaAsRuBr2
1.0
-3.374 2.127 -2.746
-3.433 -1.464 3.085
0.581 4.531 2.796
Br Ru As La
2 1 1 1
Direct
0.500 0.000 0.000 Br
0.000 0.500 0.000 Br
0.000 0.000 0.000 Ru
0.500 0.500 0.500 As
0.000 0.000 0.500 La
```

V ... 125.6 Å³/f.u.
E_tot ... -4.96 eV per atom
Symmetry ... P4/mmm (123)